- Foundational knowledge
- Self-awareness and professional conduct
- Decision making and judgment
- Teaching and facilitation
- Environmental stewardship
- Program management
- Safety and risk management
- Technical ability
The third edition of Outdoor Leadership effectively positions students to develop the knowledge and expertise required to excel as outdoor leaders. Along with updated references, learning activities, and chapter-opening vignettes, the third edition offers the following new features:
- New content on intersectionality and the importance of universal design
- A look at the contribution of outdoor recreation to the economy
- An examination of transformative learning and updated material on interpretive programming
- Expanded content on the importance of protecting ecological resources
The text begins with the foundations of outdoor leadership, the historical and philosophical foundations of the profession, and the nature of outdoor leadership as a professional practice. Historical and contemporary theories of leadership and the practical application of these theories are examined, facilitating a discussion of the roles that decision making and judgment play in real life. The text then explores the role of teaching and facilitation in outdoor leadership. Topics such as natural resource management, environmental sustainability, and program management—including program administration, safety and risk management, expedition planning, and program evaluation—are addressed.
Each chapter opens with a vignette that illustrates the practical application of outdoor leadership concepts so that students recognize the importance of the material. Throughout the text, students are introduced to various types of organizations and agencies in which outdoor leaders work. Learning activities and professional development exercises within the text encourage readers to engage in a process of self-reflection and to draw connections between theory and practice. Glossary flashcards and relevant forms are available via HKPropel. As students progress through the text, they will create a professional portfolio that demonstrates their competency and showcases their talents.
Outdoor Leadership, Third Edition With HKPropel Access, is the definitive text for developing student leadership in outdoor and adventure settings. This useful resource will help aspiring outdoor leaders plan safe, enjoyable, and ecologically responsible expeditions; acquire and showcase their leadership abilities; and develop knowledge and expertise.
Note: A code for accessing HKPropel is included with all print books.
Audiences: Text for undergraduate courses in outdoor programs and leadership. Reference for outdoor educators at high schools and professional agencies.Professional Competency Defined
Framing Practice: Using Professional Competencies to Define Professional Practice
Emergence of a Competency-Based Approach to Outdoor Leadership
Eight Core Competencies in Outdoor Leadership
Connecting the Dots
Drawing Connections
Selected References
Part I. Foundations of Outdoor Leadership
Chapter 1. The Journey Begins
Defining What We Do
Outdoor Leadership in Recreational Contexts
Outdoor Leadership in Educational Contexts
Outdoor Leadership in Therapeutic Contexts
Selected References
Chapter 2. History of Outdoor Leadership
Early History
Dude Ranches and Guide Services
Organized Camping Movement and Schools
Scouting Movement
Outward Bound Movement
National Outdoor Leadership School
Further Developments, Trends, and Issues
Selected References
Chapter 3. Outdoor Leadership as Professional Practice
Elements of Outdoor Leadership as a Profession
Professional Development in Outdoor Leadership
Sites for Engagement and Employment
Starting a Career in Outdoor Leadership
Selected References
Chapter 4. Cultural Competency and Social Justice Literacy
Key Definitions
Cultural Competency
Social Justice Literacy
Organizational Competency
Social Justice Literacy, Risk, and Psychological First Aid
Selected References
Part II. Outdoor Leadership Theory
Chapter 5. Theories of Leadership
History of Leadership
Early Leadership Theories
Transactional Versus Transformational Leadership
Contemporary Leadership Theories
Selected References
Chapter 6. Leadership in Practice
Leadership Qualities and Competencies
Leaders Identified
Leadership Power
Leadership Models
Selected References
Chapter 7. Decision Making and Judgment
Decision-Making Process
Decision-Making Models
Decision-Making Methods
Decision Making and Leadership Styles
Ethics and Decision Making
Selected References
Part III. Teaching and Facilitation
Chapter 8. Understanding Facilitation
Goals of Facilitation
Challenges in Facilitation
Developing Facilitation Skills
Selected References
Chapter 9. Facilitating Personal Development
Nature of Human Development
Theories of Human Development
Considerations for Outdoor Leadership
Selected References
Chapter 10. Facilitating Interpersonal Development
Group Development
Process of Group Development
Applying Tuckman’s Model to Leadership
Expedition Behavior
Implications for Practice
Selected References
Chapter 11. Aerial Adventure Leadership
Aerial Adventure Profession
Challenge Course Programs
# Pm2NdTm7
Calculated X-ray powder pattern, Cu Kα. Input: the PBE geometry in Alexandria.
No peak broadening, texture or thermal motion is included.

Structure:
Lattice parameters (Å, degrees): 6.138 7.057 7.894 102.65 97.40 106.86
Space group P-1 (No. 2)
One atom of each set of equivalent atoms:
1 Pm 0.102 0.202 0.203
2 Nd 0.500 0.000 0.000
3 Tm 0.099 0.700 0.202
4 Tm 0.299 0.598 0.598
5 Tm 0.301 0.101 0.600
6 Tm 0.500 0.500 0.000

Largest 10 diffraction maxima, by angle, 10 to 90 degrees two-theta:
index, 2θ/deg, Rel. int.
1 0 2, 30.94, 100
0 2 -2, 31.10, 33
1 2 0, 35.92, 67
3 0 1, 51.61, 24
2 2 -3, 51.82, 24
2 2 2, 61.38, 10
0 4 1, 61.48, 33
2 -4 3, 61.68, 14
2 0 4, 64.48, 12
3 4 -3, 87.35, 11

# BaHgF4
Calculated X-ray powder pattern, Cu Kα. Input: the PBE geometry in Alexandria.
No peak broadening, texture or thermal motion is included.

Structure:
Lattice parameters (Å, degrees): 12.931 6.177 6.246 90.00 114.10 90.00
Space group C2/c (No. 15)
One atom of each set of equivalent atoms:
1 Ba 0.000 0.234 0.250
2 Hg 0.250 0.250 0.000
3 F 0.113 0.433 0.019
4 F 0.138 0.037 0.647

Largest 10 diffraction maxima, by angle, 10 to 90 degrees two-theta:
index, 2θ/deg, Rel. int.
1 1 1, 24.59, 100
3 1 -1, 26.00, 83
2 0 -2, 28.68, 23
0 2 0, 28.91, 21
4 0 0, 30.29, 17
2 0 2, 40.37, 17
2 2 -2, 41.17, 32
4 2 0, 42.36, 32
1 1 -3, 47.58, 18
3 3 -1, 49.49, 15

# CaTl4Zn3F12
Calculated X-ray powder pattern, Cu Kα. Input: the PBE geometry in Alexandria.
No peak broadening, texture or thermal motion is included.

Structure:
Lattice parameters (Å, degrees): 8.550 8.550 8.550 90.00 90.00 90.00
Space group Im-3m (No. 229)
One atom of each set of equivalent atoms:
1 Ca 0.000 0.000 0.000
2 Tl 0.250 0.250 0.250
3 Zn 0.000 0.000 0.500
4 F 0.000 0.000 0.263
5 F 0.000 0.250 0.500

Largest 10 diffraction maxima, by angle, 10 to 90 degrees two-theta:
index, 2θ/deg, Rel. int.
2 0 0, 20.78, 25
2 2 0, 29.55, 100
2 2 2, 36.40, 24
4 0 0, 42.28, 33
4 2 0, 47.56, 13
4 2 2, 52.43, 42
4 4 0, 61.34, 21
6 2 0, 69.54, 18
6 2 2, 73.47, 9
6 4 2, 84.87, 22

# Pu2Al3Ga4
Calculated X-ray powder pattern, Cu Kα. Input: the PBE geometry in Alexandria.
No peak broadening, texture or thermal motion is included.

Structure:
Lattice parameters (Å, degrees): 5.822 15.233 7.856 90.00 90.00 90.00
Space group Cmce (No. 64)
One atom of each set of equivalent atoms:
1 Pu 0.000 0.108 0.090
2 Al 0.000 0.000 0.500
3 Al 0.250 0.225 0.750
4 Ga 0.000 0.179 0.467
5 Ga 0.250 0.056 0.750

Largest 10 diffraction maxima, by angle, 10 to 90 degrees two-theta:
index, 2θ/deg, Rel. int.
1 1 1, 19.86, 68
0 4 0, 23.36, 33
1 1 2, 28.02, 29
1 3 2, 32.69, 81
2 2 1, 34.92, 54
1 5 1, 35.15, 100
0 2 3, 36.28, 67
2 0 2, 38.49, 45
2 4 0, 38.94, 34
1 7 2, 50.44, 31

# Cs3RuO4
Calculated X-ray powder pattern, Cu Kα. Input: the PBE geometry in Alexandria.
No peak broadening, texture or thermal motion is included.

Structure:
Lattice parameters (Å, degrees): 8.688 9.807 9.291 90.00 90.00 90.00
Space group Pnma (No. 62)
Key Leadership Functions
Leader Competencies
Selected References
Chapter 12. Teaching Strategies
Experiential Education
Outdoor Teaching Techniques
Lesson Planning
Selected References
Part IV. Recreation Resource and Program Management
Chapter 13. Parks and Protected Areas Management
General Concepts in Recreation Resource Management
Parks and Protected Areas Management in the United States
International Parks and Protected Areas
Considerations for Using Parks and Protected Areas
Selected References
Chapter 14. Environmental Stewardship
Environmental Ethics
Ecological Literacy
Education for Sustainability
Leave No Trace
Selected References
Chapter 15. Program Management
Program Design
Administrative Duties
Budgeting and Finance
Selected References
Chapter 16. Safety and Risk Management
Risk Management Frameworks
Risk Management Processes
Emergency Management
Decision Making and Judgment in Risk Management
Legal Aspects of Risk Management
Selected References
Chapter 17. Expedition Planning
Trip Purpose
Selected References
Chapter 18. Assessment and Evaluation
Fundamentals of Assessment and Evaluation
Areas of Assessment
Common Assessment Tools
Selected References
Outdoor Leadership Organizations
All ancillaries are free to adopting instructors through .
Instructor guide. Includes a sample course outline, sample syllabus, assignments and class project ideas, suggested websites, ideas for demonstrations or guest speakers, and tips for presenting key concepts for each chapter.
Test package. Contains 540 questions in true-false, fill-in-the-blank, essay and short-answer, and multiple-choice formats. The files may be downloaded for integration with a learning management system or printed for use as paper-based tests. Instructors may also create their own customized quizzes or tests from the test bank questions.
Chapter quizzes. Contains ready-made quizzes (10 questions each) to assess student comprehension of the most important concepts in each chapter.
Presentation package. Features more than 350 PowerPoint slides of text, artwork, and tables from the book that can be used for class discussion and presentation. The slides in the presentation package can be used directly within PowerPoint or printed to make handouts for students. Instructors can easily add, modify, and rearrange the order of the slides.
Instructors also receive access to all student materials in HKPropel. For Outdoor Leadership, Third Edition, this includes a flash card activity for each chapter, learning activities, professional development exercises, and numerous downloadable forms.